
Kelly Slater visits The Chia Company farm. Photo courtesy of The Chia Co.

Paddling out to a wave with Kelly Slater is like bringing Shaq to your half-court pickup game. People stare. Some bow. A few manage a hello. But mostly they shut up and watch.

I meet up with the six-time world champion at the legendary Salt Creek break near Laguna Beach, California. The waves here are lightning quick, with hollow barrels wide enough for a Harley or two. Slater pounces on the first one that comes by, shredding it like Mark McGwire's credibility. Necks crane, following Slater as he paddles back beside me, and then everyone eyes the interloper—the guy on their turf who isn't an ambassador of the sport they all love and cherish, the guy who didn't shoot ads for Calvin Klein, the guy who never dated Pamela Anderson.

A shoulder-high wave rolls in, and, overcome by performance anxiety, I start stroking wildly.

(Someone pasted records of crystals at this point)
=====
Structure and computed powder X-ray diffraction pattern of LiCo2P2O8 (a DFT-relaxed cell (GGA+U, Alexandria); λ = 1.5418 Å (Cu Kα)).
Lines closer than 0.1° are merged.

Largest 12 diffraction maxima, by intensity, 10° ≤ 2θ ≤ 90°:
2θ 21.75, I = 100; 2θ 21.64, I = 97; 2θ 35.24, I = 47; 2θ 34.89, I = 47; 2θ 39.68, I = 16; 2θ 43.09, I = 14; 2θ 43.86, I = 12; 2θ 61.57, I = 11; 2θ 55.35, I = 11; 2θ 61.39, I = 10; 2θ 55.69, I = 9; 2θ 54.13, I = 7

Structure:
```
LiCo2P2O8
1.0
3.3887 -3.8606 0.0000
3.3887 3.8606 0.0000
-0.0490 0.0000 6.8949
Li Co P O
1 2 2 8
direct
0.0000 0.0000 0.0000
0.4817 0.5183 0.0000
0.9934 0.0066 0.5000
0.4924 0.0106 0.7504
0.9894 0.5076 0.2496
0.2831 0.6142 0.2047
0.3694 0.0914 0.5627
0.3858 0.7169 0.7953
0.3941 0.1638 0.9308
0.7962 0.0543 0.7481
0.8362 0.6059 0.0692
0.9086 0.6306 0.4373
0.9457 0.2038 0.2519
```

=====

Starting from a cell relaxed with PBE, the powder diffraction line list of K4CO6 was computed for Cu Kα.

Structure:
a b c (Å): 5.463 5.758 7.071
angles (deg): 94.73 98.19 114.98
Space group P1 (No. 1)
Asymmetric unit:
K (0.000, 0.000, 0.000)
K (0.002, 0.941, 0.511)
K (0.320, 0.603, 0.712)
K (0.646, 0.317, 0.274)
C (0.657, 0.294, 0.757)
O (0.158, 0.323, 0.336)
O (0.310, 0.703, 0.216)
O (0.441, 0.221, 0.838)
=====

I pop to my feet, but the bottom falls out. As I flail about, trying to regain my balance, Slater takes two quick strokes and drops in beside me. He's framed by the falling water as he threads a thin line through the barrel. He's soft but strong, and fluid through the waves. I'm fluid-challenged. The wave crashes onto my head, sending me face-first into the waist-deep water. "Take off a little earlier," Slater says as I try to shake it off (the fall and the humiliation). "Once you line up with the wave, take longer and more deliberate strokes to get into it."

I nod and head off again. Sure enough, I nail the next wave. Over the course of the day, Slater gives me dozens of tips. Other surfers eavesdrop. You can, too. Here's what I learned.

1. Count 10 Before You Hang 10.

Paddling is the most physically demanding part of surfing, and it can make or break your run. Your goal is to develop momentum before the wave sweeps underneath you and let it launch you into a standing position. Time your start so that you make at least 10 strong paddles before the wave's peak reaches you. Use long, fluid strokes, grabbing the water beneath your board with your hands cupped and your forearms almost perpendicular to the board. "Stay relaxed," Slater says, "using short little strokes to angle your board along the face of the wave." Keep your head up and the board flush with the waterline. "If the nose of the board is going under, you're too far forward," Slater says. Likewise, if the nose is pushing water as you paddle, you're too far back.

2. Use the Wave as a Trampoline.

Once the wave is underfoot, let its energy propel you into a standing position. "Practice on the beach," suggests Slater. Draw an outline of a surfboard in the sand. From a prone position, explode off the ground, using equal force from your hands and feet. If you're regular-footed, your left foot should end up near the nose of the board, your right foot back. It's vice versa if you're goofy-footed. (Experiment to find which is more comfortable.) Be as smooth and quick as possible, doing five sets of 20 reps. Dry-land training is great for experienced surfers, too, improving their quickness and balance.

3. Move to the Center.

Surfing is like politics: Take a stance too far left or right and you'll fall hard. Center your feet over the board's stringer (or centerline), straddling it with the arches of your feet. Your toes should be pointed directly toward the side of the board, your feet just slightly more than shoulder-width apart.

4. Corner at High Speed.

As you start moving down the wave, you'll feel the bottom drop out. Just then, throw your weight forward onto your front leg to generate enough speed for turning. As you reach the lower part of the wave, step on the tail to lighten the load on the nose, and then turn into the wave. "As you initiate the turn, your front leg should be straight," says Slater. "As you finish the turn, your back leg should be straight and your front leg slightly bent."

5. Embrace Failure.

"Never just wipe out," Slater says. "Be an active faller." Always try to put distance between you and your board, lest it smack you upside the head and render you unconscious. Kick it away or, at the very least, cover your head. Also, tumble toward the wave's shoulder, the part that hasn't broken yet. Avoid landing under the lip--the falling curtain of water that packs the majority of a wave's punch. Most important, never dive off your board headfirst. You could nail the bottom and really mess yourself up.

6. Essential Skill: The Duck Dive

Paddling out to surfable waves sometimes means getting past a series of less worthy whitecaps. The duck dive helps you slip underneath. When you're about 8 feet from an oncoming wave, grab your board on both sides and push up onto your knees with your butt in the air. Throw your weight forward as you rise, kicking one of your legs up with your knee bent at 90 degrees for a boost. Force the nose of your board down and under the wave. You'll slide under unscathed, too.

[The entry is interrupted by records of crystals]
=====
No. 1
# SrBe5Au7
Calculated powder XRD pattern, a wavelength of 1.5418 Å. Input: a structure optimized by DFT (PBE).

Top 10 peaks for 2θ = 5–70°, low angle first:
two_theta  I_rel
14.05  27
19.87  24
28.33  75
34.86  63
35.01  72
35.13  76
40.55  100
45.46  25
45.65  30
45.72  40

```
13
Lattice="-2.5549 4.4433 4.4691 2.5549 -4.4433 4.4691 2.5549 4.4433 -4.4691" Properties=species:S:1:pos:R:3 pbc="T T T"
Sr 0.0000 0.0000 0.0000
Be 1.3194 2.2698 2.0810
Be 3.7903 2.2698 2.0810
Be 0.0000 4.4433 2.3012
Be -1.2354 2.1735 6.5501
Be 1.2354 2.1735 6.5501
Au 2.5549 1.7685 -0.3820
Au 2.5549 0.0000 1.9732
Au 0.0000 0.0000 3.0519
Au 0.0000 3.0349 0.1791
Au 0.0000 0.0000 5.9649
Au 0.0000 5.8517 0.1791
Au 0.0000 2.6748 4.0871
```

No. 2
# CaPPt6
Calculated powder XRD pattern, a wavelength of 1.5418 Å. Input: a structure optimized by DFT (PBE).

Top 10 peaks for 2θ = 5–70°, low angle first:
two_theta  I_rel
18.98  45
21.05  15
27.89  18
31.61  57
37.35  100
38.51  43
45.50  22
45.89  43
53.34  40
66.61  26

```
8
Lattice="2.8081 1.6212 5.6617 -2.8081 1.6212 5.6617 0.0000 -3.2425 5.6617" Properties=species:S:1:pos:R:3 pbc="T T T"
Ca 0.0000 0.0000 0.0000
P 0.0000 0.0000 8.4925
Pt -1.4669 -0.8469 7.0037
Pt 0.0000 -1.6938 9.9813
Pt -1.4669 0.8469 9.9813
Pt 1.4669 -0.8469 7.0037
Pt 0.0000 1.6938 7.0037
Pt 1.4669 0.8469 9.9813
```

No. 3
# Pm2Ho8Sc3
Calculated powder XRD pattern, a wavelength of 1.5418 Å. Input: a structure optimized by DFT (PBE).

Top 10 peaks for 2θ = 5–70°, low angle first:
two_theta  I_rel
8.18  12
31.38  34
31.46  100
36.43  46
36.55  22
52.51  23
52.61  15
62.49  32
62.65  13
65.68  12

```
13
Lattice="6.0349 0.0000 0.0000 -0.9997 5.9645 0.0000 -1.9930 -0.3432 10.8035" Properties=species:S:1:pos:R:3 pbc="T T T"
Pm -0.4881 1.4482 4.9776
Pm 3.5304 4.1732 5.8259
Ho -0.4614 2.4382 1.5877
Ho -0.5136 0.4570 8.4260
Ho 0.5311 4.6858 4.0826
Ho 0.5009 3.6953 7.5737
Ho 2.5413 1.9260 3.2298
Ho 2.5111 0.9356 6.7209
Ho 3.5559 5.1643 2.3775
Ho 3.5037 3.1831 9.2158
Sc 0.5443 5.7052 0.7884
Sc 2.5176 2.9823 0.0000
Sc 2.4979 -0.0838 10.0151
```

No. 4
# ErSn4
Calculated powder XRD pattern, a wavelength of 1.5418 Å. Input: a structure optimized by DFT (PBE).

Top 10 peaks for 2θ = 5–70°, low angle first:
two_theta  I_rel
31.39  98
34.45  100
38.86  30
41.20  34
52.86  14
57.75  14
57.93  26
65.74  12
67.20  43
67.56  11

```
10
Lattice="-2.3172 3.1938 9.0332 2.3172 -3.1938 9.0332 2.3172 3.1938 -9.0332" Properties=species:S:1:pos:R:3 pbc="T T T"
Er 0.0000 1.5969 1.6093
Er 2.3172 1.5969 7.4239
Sn 2.3172 0.0000 0.0000
Sn 2.3172 -1.5969 7.2799
Sn 2.3172 -0.0213 3.4578
Sn 2.3172 3.1724 -3.4578
Sn 0.0000 0.0000 9.0332
Sn 0.0000 0.0213 12.4910
Sn 0.0000 3.2151 5.5754
Sn 0.0000 4.7906 1.7533
```


Starting from a DFT-relaxed cell (GGA-PBE, Alexandria), the X-ray diffraction stick pattern of U2Tl2IrSe6 was calculated for Cu Kα (λ = 1.5418 Å).

```
11
Lattice="3.3241 -5.7569 0.0000 3.3241 5.7569 0.0000 -2.5234 0.0000 8.1708" Properties=species:S:1:pos:R:3 pbc="T T T"
=====

How to Catch a Wave

Kelly Slater shows you the way, step by drenching step

1. As the wave approaches, lie down on the board and start paddling toward shore. Use strong, smooth strokes and keep your board perpendicular to the wave, but pointed slightly in the direction you hope to go.

2. As soon as you feel the wave start to pick you up, push down on the rails of the board just below your chest and, in one swift motion, pop up to your feet. Never go to your knees first.

3. Stand sideways on the board with your feet shoulder-width apart and knees slightly bent. Make sure your back foot is over your fins--the rudders underneath the board. Your front foot should be just under your chest and pointing forward.

4. Now, aim the board toward the shoulder--the smooth, open face of the wave--and let the wave push you there.

The Board Room

A stick to suit every surfer

Buy This if . . . You're a Beginner

Edgecore Surf Joe Blair Speed Egg


The fins are 2 inches farther off the tail than those of the other boards here, allowing for tight but controlled turning. The extra-soft side rails and tail, meanwhile, reduce drag, making the board quick and smooth as well--a perfect combo for beginners.

Buy This if . . . You Want to Cruise

Hobie Classic


This 9 1/2-foot single-fin longboard is wide and stable, gliding like a pontoon. Surfing icon Hobie Alter added four redwood stringers for strength.

Buy This if . . . You're Chasing the Big One

Rusty Cali-Gun


So-called gun boards--one part longboard, one part carver--have narrow, spearlike shapes for catching large, powerful waves. This one is stable for handling giant chop and nimble for steering clear of trouble.

Surfing: The Turf

A great wave is a terrible thing to waste. Know where to wait

1. The Soup

Also known as "the inside," this is the spot where the waves have already broken and are moving toward the beach in a mass of roiling whitewater. Learn the pop-up here if you're just getting started

2. The Peak

This is where the wave reaches its highest point and starts to break. Sit here to catch as many waves as possible. Understand the etiquette, though: The surfer closest to the break goes first--drop in ahead of someone and you'll be asked to leave. Also, the most experienced surfers get to pick their waves. If you don't know who's the most experienced, it's not you.

3. The Impact Zone

This is no-man's-land, the spot between the soup and the peak. It's also the most dangerous place to find yourself, because it's where the waves unload the majority of their power.

4. The Shoulder

It's the unbroken part of the wave, to the left or right of the peak. It's also a great spot for beginners and intermediates--they can practice in calmer waves. Just make sure you yield to surfers who are already up and riding the wave from the peak zone.

5. The Outside

Located beyond the peak zone, it's where the big kahunas break. Patience is key--they're few and far between.

6. The Channel

This is the safest and easiest route to paddle out to the peak. Look for an area of darker-colored water. Because the water's deep, fewer waves break here.
